Wanted
Echo everything underneath word for word, please.
Input
- - -
[1]
This record from Alexandria describes an optimized crystal structure of CaLa2Tl2. The functional is PBE-GGA.

Output
total magnetic moment: 0.15 μB/atom
energy of formation: -363.6 meV per atom
total DFT energy (no corrections): -3.681 eV per atom

a = 8.725 Å, b = 8.725 Å, c = 4.437 Å
α = 90.00°, β = 90.00°, γ = 90.00°
Fractional positions:
Ca 0.500 0.500 0.000
Ca 0.000 0.000 0.000
Tl 0.129 0.371 0.000
Tl 0.629 0.129 0.000
Tl 0.371 0.871 0.000
Tl 0.871 0.629 0.000
La 0.330 0.170 0.500
La 0.830 0.330 0.500
La 0.170 0.670 0.500
La 0.670 0.830 0.500

[2]
This record from Alexandria describes an optimized crystal structure of Ca3LaTl4. The functional is PBE-GGA.

Output
total magnetic moment: 0.00 μB/atom
energy of formation: -441.9 meV per atom
total DFT energy (no corrections): -2.992 eV per atom

a = 5.539 Å, b = 5.539 Å, c = 9.624 Å
α = 73.28°, β = 73.28°, γ = 60.00°
Fractional positions:
Ca 0.500 0.500 0.500
Ca 0.248 0.248 0.255
Ca 0.752 0.752 0.745
Tl 0.874 0.874 0.377
Tl 0.376 0.376 0.873
Tl 0.624 0.624 0.127
Tl 0.126 0.126 0.623
La 0.000 0.000 0.000

[3]
This record from Alexandria describes an optimized crystal structure of Ca2LaTl. The functional is PBE-GGA.

Output
total magnetic moment: 0.00 μB/atom
energy of formation: -147.9 meV per atom
total DFT energy (no corrections): -2.972 eV per atom

a = 6.035 Å, b = 6.035 Å, c = 6.035 Å
α = 127.89°, β = 127.89°, γ = 76.81°
Fractional positions:
Ca 0.000 0.000 0.000
Ca 0.250 0.750 0.500
La 0.500 0.500 0.000
Tl 0.750 0.250 0.500

[4]
This record from Alexandria describes an optimized crystal structure of Ca2LaTl. The functional is PBE-GGA.

Output
total magnetic moment: 0.00 μB/atom
energy of formation: -189.5 meV per atom
total DFT energy (no corrections): -3.014 eV per atom

a = 3.853 Å, b = 3.854 Å, c = 9.728 Å
α = 90.00°, β = 90.00°, γ = 90.00°
Fractional positions:
Tl 0.500 0.500 0.755
Ca 0.500 0.500 0.249
Ca 0.000 0.000 0.953
La 0.000 0.000 0.543

[5]
This record from Alexandria describes an optimized crystal structure of Ca2La2Tl. The functional is PBE-GGA.

Output
total magnetic moment: 0.00 μB/atom
energy of formation: 69.8 meV per atom
total DFT energy (no corrections): -3.175 eV per atom

a = 8.234 Å, b = 8.234 Å, c = 5.634 Å
α = 90.00°, β = 90.00°, γ = 90.00°
Fractional positions:
Ca 0.170 0.670 0.500
Ca 0.830 0.330 0.500
Ca 0.670 0.830 0.500
Ca 0.330 0.170 0.500
Tl 0.500 0.500 0.000
Tl 0.000 0.000 0.000
La 0.372 0.872 0.000
La 0.628 0.128 0.000
La 0.128 0.372 0.000
La 0.872 0.628 0.000

[6]
This record from Alexandria describes an optimized crystal structure of Ca2LaTl. The functional is PBE-GGA.

Output
total magnetic moment: 0.00 μB/atom
energy of formation: -144.7 meV per atom
total DFT energy (no corrections): -2.969 eV per atom

a = 5.736 Å, b = 5.736 Å, c = 5.736 Å
α = 60.00°, β = 60.00°, γ = 60.00°
Fractional positions:
La 0.500 0.500 0.500
Ca 0.000 0.000 0.000
Ca 0.250 0.250 0.250
Tl 0.750 0.750 0.750

[7]
This record from Alexandria describes an optimized crystal structure of Ca4La3Tl4. The functional is PBE-GGA.

Output
total magnetic moment: 0.00 μB/atom
energy of formation: -297.4 meV per atom
total DFT energy (no corrections): -3.230 eV per atom

a = 5.396 Å, b = 7.705 Å, c = 9.973 Å
α = 112.72°, β = 105.70°, γ = 90.00°
Fractional positions:
La 0.900 0.900 0.799
La 0.100 0.100 0.201
La 0.000 0.500 0.000
Tl 0.189 0.689 0.379
Tl 0.500 0.799 0.000
Tl 0.811 0.311 0.621
Tl 0.500 0.201 0.000
Ca 0.679 0.454 0.359
Ca 0.679 0.904 0.359
Ca 0.321 0.546 0.641
Ca 0.321 0.096 0.641

[8]
This record from Alexandria describes an optimized crystal structure of Ca2La2Tl. The functional is PBE-GGA.

Output
total magnetic moment: 0.00 μB/atom
energy of formation: 50.1 meV per atom
total DFT energy (no corrections): -3.195 eV per atom

a = 8.132 Å, b = 8.132 Å, c = 5.561 Å
α = 90.00°, β = 90.00°, γ = 90.00°
Fractional positions:
Tl 0.500 0.500 0.000
Tl 0.000 0.000 0.000
Ca 0.351 0.851 0.000
Ca 0.649 0.149 0.000
Ca 0.851 0.649 0.000
Ca 0.149 0.351 0.000
- - -
Reply
[1]
This record from Alexandria describes an optimized crystal structure of CaLa2Tl2. The functional is PBE-GGA.

Output
total magnetic moment: 0.15 μB/atom
energy of formation: -363.6 meV per atom
total DFT energy (no corrections): -3.681 eV per atom

a = 8.725 Å, b = 8.725 Å, c = 4.437 Å
α = 90.00°, β = 90.00°, γ = 90.00°
Fractional positions:
Ca 0.500 0.500 0.000
Ca 0.000 0.000 0.000
Tl 0.129 0.371 0.000
Tl 0.629 0.129 0.000
Tl 0.371 0.871 0.000
Tl 0.871 0.629 0.000
La 0.330 0.170 0.500
La 0.830 0.330 0.500
La 0.170 0.670 0.500
La 0.670 0.830 0.500

[2]
This record from Alexandria describes an optimized crystal structure of Ca3LaTl4. The functional is PBE-GGA.

Output
total magnetic moment: 0.00 μB/atom
energy of formation: -441.9 meV per atom
total DFT energy (no corrections): -2.992 eV per atom

a = 5.539 Å, b = 5.539 Å, c = 9.624 Å
α = 73.28°, β = 73.28°, γ = 60.00°
Fractional positions:
Ca 0.500 0.500 0.500
Ca 0.248 0.248 0.255
Ca 0.752 0.752 0.745
Tl 0.874 0.874 0.377
Tl 0.376 0.376 0.873
Tl 0.624 0.624 0.127
Tl 0.126 0.126 0.623
La 0.000 0.000 0.000

[3]
This record from Alexandria describes an optimized crystal structure of Ca2LaTl. The functional is PBE-GGA.

Output
total magnetic moment: 0.00 μB/atom
energy of formation: -147.9 meV per atom
total DFT energy (no corrections): -2.972 eV per atom

a = 6.035 Å, b = 6.035 Å, c = 6.035 Å
α = 127.89°, β = 127.89°, γ = 76.81°
Fractional positions:
Ca 0.000 0.000 0.000
Ca 0.250 0.750 0.500
La 0.500 0.500 0.000
Tl 0.750 0.250 0.500

[4]
This record from Alexandria describes an optimized crystal structure of Ca2LaTl. The functional is PBE-GGA.

Output
total magnetic moment: 0.00 μB/atom
energy of formation: -189.5 meV per atom
total DFT energy (no corrections): -3.014 eV per atom

a = 3.853 Å, b = 3.854 Å, c = 9.728 Å
α = 90.00°, β = 90.00°, γ = 90.00°
Fractional positions:
Tl 0.500 0.500 0.755
Ca 0.500 0.500 0.249
Ca 0.000 0.000 0.953
La 0.000 0.000 0.543

[5]
This record from Alexandria describes an optimized crystal structure of Ca2La2Tl. The functional is PBE-GGA.

Output
total magnetic moment: 0.00 μB/atom
energy of formation: 69.8 meV per atom
total DFT energy (no corrections): -3.175 eV per atom

a = 8.234 Å, b = 8.234 Å, c = 5.634 Å
α = 90.00°, β = 90.00°, γ = 90.00°
Fractional positions:
Ca 0.170 0.670 0.500
Ca 0.830 0.330 0.500
Ca 0.670 0.830 0.500
Ca 0.330 0.170 0.500
Tl 0.500 0.500 0.000
Tl 0.000 0.000 0.000
La 0.372 0.872 0.000
La 0.628 0.128 0.000
La 0.128 0.372 0.000
La 0.872 0.628 0.000

[6]
This record from Alexandria describes an optimized crystal structure of Ca2LaTl. The functional is PBE-GGA.

Output
total magnetic moment: 0.00 μB/atom
energy of formation: -144.7 meV per atom
total DFT energy (no corrections): -2.969 eV per atom

a = 5.736 Å, b = 5.736 Å, c = 5.736 Å
α = 60.00°, β = 60.00°, γ = 60.00°
Fractional positions:
La 0.500 0.500 0.500
Ca 0.000 0.000 0.000
Ca 0.250 0.250 0.250
Tl 0.750 0.750 0.750

[7]
This record from Alexandria describes an optimized crystal structure of Ca4La3Tl4. The functional is PBE-GGA.

Output
total magnetic moment: 0.00 μB/atom
energy of formation: -297.4 meV per atom
total DFT energy (no corrections): -3.230 eV per atom

a = 5.396 Å, b = 7.705 Å, c = 9.973 Å
α = 112.72°, β = 105.70°, γ = 90.00°
Fractional positions:
La 0.900 0.900 0.799
La 0.100 0.100 0.201
La 0.000 0.500 0.000
Tl 0.189 0.689 0.379
Tl 0.500 0.799 0.000
Tl 0.811 0.311 0.621
Tl 0.500 0.201 0.000
Ca 0.679 0.454 0.359
Ca 0.679 0.904 0.359
Ca 0.321 0.546 0.641
Ca 0.321 0.096 0.641

[8]
This record from Alexandria describes an optimized crystal structure of Ca2La2Tl. The functional is PBE-GGA.

Output
total magnetic moment: 0.00 μB/atom
energy of formation: 50.1 meV per atom
total DFT energy (no corrections): -3.195 eV per atom

a = 8.132 Å, b = 8.132 Å, c = 5.561 Å
α = 90.00°, β = 90.00°, γ = 90.00°
Fractional positions:
Tl 0.500 0.500 0.000
Tl 0.000 0.000 0.000
Ca 0.351 0.851 0.000
Ca 0.649 0.149 0.000
Ca 0.851 0.649 0.000
Ca 0.149 0.351 0.000